/*
1.
ORCA calculation (ωB97M-V with the def2-TZVPD basis set) on an isolated molecule of C5H10O.

```
16
C5H10O | the Open Molecules 2025 dataset | ωB97M-V with the def2-TZVPD basis set
C 2.02478 -0.12120 -0.25973
C 0.76705 -0.58187 0.49224
C -0.52939 -0.21297 -0.25332
C -1.87446 -0.30667 0.53632
C -0.53881 1.23167 -0.69226
O 0.01921 2.12705 -0.10362
H 2.03319 0.96651 -0.36142
H 2.93625 -0.40959 0.27319
H 2.08386 -0.55122 -1.26716
H 0.80406 -1.67133 0.63321
H 0.76746 -0.13148 1.49051
H -0.60264 -0.84971 -1.14543
H -1.72550 -0.61781 1.57353
H -2.37127 0.67290 0.57614
H -2.58341 -0.98932 0.06113
H -1.21038 1.44503 -1.55333
```

Summary:
SMILES string	CC[C@@H](C)C=O
gap between HOMO and LUMO	10.727	eV
highest occupied orbital energy	-9.66	eV
ΔE to the lowest compared entry with this formula, charge and spin	56.7	kJ/mol



2.
ORCA calculation (ωB97M-V with the def2-TZVPD basis set) on a cluster of 5 separate species, C3H17N2O6 in total.

```
28
C3H17N2O6 | the Open Molecules 2025 dataset | ωB97M-V with the def2-TZVPD basis set
N -0.29029 0.13113 1.39274
C -0.64851 0.05323 -0.14034
C -1.49119 1.16732 -0.60043
O -1.65484 2.16284 0.41091
C -1.37503 -1.38350 -0.32675
N -1.58684 -1.87736 -1.57613
O -1.66371 -1.94616 0.72612
H 0.69396 -0.00326 1.48700
H -0.48525 1.16091 1.70327
H -0.82294 -0.49663 1.82431
H 0.22343 0.20332 -0.69783
H -0.96018 1.59049 -1.60137
H -2.49641 0.88917 -0.96528
H -2.58668 2.51362 0.22475
H -2.15743 -2.75555 -1.85465
H -1.29720 -1.44455 -2.42711
H 1.53912 2.90579 1.73343
H 1.59801 2.47369 0.36424
O 0.90822 2.60627 1.17658
H 0.44172 -0.42024 -3.25151
H 1.67452 -1.38525 -2.74682
O 0.72680 -0.98373 -2.46052
H 3.40301 0.03578 0.03744
H 3.12162 0.00599 -1.43807
O 2.69347 -0.27729 -0.58771
H 0.84183 -2.30596 2.94429
H 0.87346 -1.19717 3.78323
O 0.77733 -1.42288 2.86621
```

Summary:
charge	+1
gap between HOMO and LUMO	10.392	eV
highest occupied orbital energy	-13.32	eV
ΔE to the lowest compared entry with this formula, charge and spin	278.9	kJ/mol



3.
ORCA calculation (ωB97M-V with the def2-TZVPD basis set) on the ion C4H6NO3 with charge -1.

```
14
C4H6NO3 | the Open Molecules 2025 dataset | ωB97M-V with the def2-TZVPD basis set
C -1.30623 0.32230 0.13728
N -0.09358 -1.18386 1.54349
C -1.67209 -0.76932 -0.84497
C 0.07482 0.00960 0.93761
C 1.40112 0.03474 -0.18817
O 2.29112 0.82818 0.11067
O 1.30903 -0.67624 -1.17225
O -1.54723 1.53653 -0.37563
H -1.98630 0.25919 0.98995
H -2.73292 -0.65610 -1.08860
H -1.08779 -0.67966 -1.76165
H -1.35821 -1.70223 -0.36704
H 0.37706 0.96923 1.43968
H 0.18986 -1.13609 2.52846
```

Summary:
charge	-1
gap between HOMO and LUMO	6.101	eV
highest occupied orbital energy	-4.23	eV
ΔE to the lowest compared entry with this formula, charge and spin	524.0	kJ/mol



4.
ORCA calculation (ωB97M-V with the def2-TZVPD basis set) on a structure of composition C19H22AsCl2CoN4OS4.

```
54
C19H22AsCl2CoN4OS4 | the Open Molecules 2025 dataset | ωB97M-V with the def2-TZVPD basis set
Co -0.65998 -0.31957 -0.16753
O -0.16973 -0.49862 1.93119
C -0.41211 0.51206 2.90719
C -0.62053 1.83170 2.19559
C 0.64934 2.19701 1.38932
C 0.30838 2.62023 -0.00552
C 0.22963 3.95265 -0.39503
C -0.16822 4.26350 -1.68313
C -0.48019 3.22928 -2.54850
C -0.39083 1.92911 -2.08125
N -0.00094 1.62849 -0.84430
H -0.68392 -1.32690 2.13360
H 0.46382 0.57163 3.56591
H -1.27768 0.24258 3.51677
H -0.86844 2.61990 2.91227
H -1.47432 1.70647 1.52233
H 1.27935 1.31162 1.28999
H 1.24130 2.96280 1.89651
H 0.46896 4.73159 0.31829
H -0.24581 5.29605 -2.00262
H -0.81540 3.41889 -3.55884
H -0.67051 1.08708 -2.70448
S 2.07420 -4.48035 1.58570
As 0.17542 -3.81551 0.76459
S -1.37235 -3.32246 2.13284
S 0.58081 -2.26454 -0.71967
S 0.06843 -5.76946 -0.14262
C 5.04653 -2.25170 1.20653
C 4.55611 -1.00230 0.55433
C 5.21306 0.09597 0.03190
C 4.18927 0.92239 -0.48875
N 3.00317 0.37062 -0.29518
N 3.24742 -0.77788 0.35198
C 4.30269 2.25706 -1.15628
H 6.13636 -2.25769 1.23521
H 4.69699 -3.13377 0.66818
H 4.66970 -2.33743 2.22656
H 6.27854 0.26732 0.01888
*/
What is needed: restate every line further above that contains the word "with".
ORCA calculation (ωB97M-V with the def2-TZVPD basis set) on an isolated molecule of C5H10O.
C5H10O | the Open Molecules 2025 dataset | ωB97M-V with the def2-TZVPD basis set
ΔE to the lowest compared entry with this formula, charge and spin	56.7	kJ/mol
ORCA calculation (ωB97M-V with the def2-TZVPD basis set) on a cluster of 5 separate species, C3H17N2O6 in total.
C3H17N2O6 | the Open Molecules 2025 dataset | ωB97M-V with the def2-TZVPD basis set
ΔE to the lowest compared entry with this formula, charge and spin	278.9	kJ/mol
ORCA calculation (ωB97M-V with the def2-TZVPD basis set) on the ion C4H6NO3 with charge -1.
C4H6NO3 | the Open Molecules 2025 dataset | ωB97M-V with the def2-TZVPD basis set
ΔE to the lowest compared entry with this formula, charge and spin	524.0	kJ/mol
ORCA calculation (ωB97M-V with the def2-TZVPD basis set) on a structure of composition C19H22AsCl2CoN4OS4.
C19H22AsCl2CoN4OS4 | the Open Molecules 2025 dataset | ωB97M-V with the def2-TZVPD basis set